Nanotest Vantage极端环境纳米力学综合测试系统Vantage



NanoTest Vantage from Micro Materials cleverly combines multiple nanomechanical and tribological test techniques over multiple force scales and multiple environments in a single instrument to provide the most complete and reliable solution on the market today.

Micro Materials公司的Vantage纳米测试系统优势巧妙地将多种纳米力学和摩擦学测试技术在多种力尺度和多种环境下结合在一个仪器上,提供了当今市场上最完整和可靠的解决方案。



Unrivalled technique versatility



Every NanoTest Vantage includes an advanced controller with intuitive software, a thermally controlled environmental enclosure with an anti-vibration system, and a four-objective optical microscope. This remarkably flexible nanomechanical test and characterisation solution can be configured to perform nanoindentation, nano-scratch, nano-impact, nano-fretting, and nano-wear techniques.



The fully ISO- and ASTM-compliant system can even be configured with a nanopositioning stage to provide SPM imaging, or with an AFM.



1.Nanoindentation Module 纳米压痕模块


Nanoindentation Module The nanoindentation module has been designed to provide the user with the optimum combination of sensitivity and load range to cover the widest range of applications and sample types. Reliable calibration procedures, experimental protocols and instrument stability ensure that ISO 14577 compliant measurements can easily be performed. High resolution XYZ stages enable precision targeting of test locations, e.g. for indentations into specific phases in multi-phase materials or for micro-pillar compression and micro-cantilever tests.

纳米压痕模块的设计旨在为用户提供灵敏度和载荷范围的最佳组合,以覆盖最广泛的应用和样品类型。可靠的校准程序、实验协议和仪器稳定性确保了符合ISO 14577的测量。高分辨率XYZ级可以精确定位测试位置,例如用于多相材料中特定相的压痕,或用于微柱压缩和微悬臂试验。


This excellent repositioning accuracy combined with very high thermal stability allows the NanoTest Vantage to target specific features of interest, produce detailed mechanical property maps across surface and depth-profiles of hardness and elastic modulus and perform long-duration creep tests.




2.Nano-scratch module 纳米划痕模块


The nano-scratch module has been engineered to provide theoptimum combination of (1) wide load range, (2) high lateralrigidity during scratching, and (3) high frictional sensitivity.



This module extends the instrument’s ability to perform a broad range of nano-tribological tests, including single scratches, multiple-pass scratch and wear tests, surface profilometry, and friction measurements.It is particularly suitable for assessing abrasive wear resistance and critical load for coating failures. The NanoTest Vantage loading heads have a high lateral stiffness so it is very effective at testing hard coatings, even those with very high surface roughness.




3.Nano-impact module 纳米冲击模块


Nano-impact works by accelerating the indenter towards the sample surface under controlled conditions. This high-energy impact results in a very high strain rate contact (typical strain rate: ~103–104 s-1) that is orders of magnitude higher than the strain rates in nanoindentation.

纳米冲击的工作原理是在控制条件下将压头加速向样品表面。这种高能冲击导致了一个非常高的应变率接触(典型的应变率:~103– 104s- 1),比纳米压痕中的应变率高出一个数量级。


Nano-impact complements nanoindentation techniques,especially for applications where toughness is important and hardness alone is insufficient. Impact with the NanoTest Vantage has been shown to be an effective accelerated wear test capable of accurately simulating interrupted contacts (e.g.,in metal cutting, in erosive wear, or in auto- or aero-engines).



4.Nano-fretting / nano-wear module 纳米微摩擦和纳米磨损


The nano-fretting/nano-wear module in the NanoTest is used for reciprocating wear and fretting testing. By changing the wear track length both reciprocating nano-wear and true nanoscale fretting tests can be performed with the same module. This technique is important for studying the onset of wear in coatings and metallic materials.



Owing to the very high stability of the NanoTest Vantage high-cycle wear tests can be run. This makes it possible to run tests at a lower contact pressure more reflective of real wear situations where coatings fail gradually not straightaway. The nano-wear tests can then be used to more effectively develop materials with improved wear resistance.




High-accuracy multiple force scales



The NanoTest Vantage is engineered to accommodate the system’s low-load loading head and optional high-load loading head simultaneously, This saves time because, unlike other instruments, there is no need for a physical change and recalibration of loading heads. The second head provides microindentation and micro-scratch capabilities as well as a wide range of other micromechanical measurements for true depth-sensing at 30 N.

Nanotest Vantage的设计是同时适应系统的低负载装载头和可选的高负载装载头,这节省了时间,因为不像其他仪器,不需要物理改变和重新校准加载头。第二个头提供微压痕和微划痕能力,以及广泛的其他微机械测量,用于30N微米尺度力学测试。



Load parameters:

Nanoload range: 500 mN

Micron load range: 30 N

Thermal drift: 0.004 nm/s or better


纳米载荷范围: 500 mN

微米载荷范围: 30 N

热漂移: 0.004 nm/s 或更好




Market-leading environmental capabilities



1.environmental and vibration isolation system  环境与震动隔离系统


Nanotest Vantage provides a high stiffness testing platform equipped with an environmental and vibration isolation system. This system not only isolates noise and airflow interference using a multi-layered sound attenuation environmental isolation cabinet and actively suspends the platform to isolate environmental vibration interference, but also offers a six-degree-of-freedom platform for comprehensive simulation testing. Additionally, an active temperature control system is provided within the environmental isolation cabinet to maintain a constant temperature inside the shielded enclosure. Nanotest Vantage reduces testing uncertainties caused by environmental influences for researchers.

Nanotest Vantage提供高刚度测试平台,内有环境与震动隔离系统,不仅可以通过多层声衰减环境屏蔽柜隔离噪音与气流干扰,主动悬浮平台隔离环境震动干扰,还提供六自由度平台,以便进行全方位的模拟测试,另外环境屏蔽柜内提供主动温度控制系统,使屏蔽罩内部温度达到恒定状态。Nanotest Vantage为研究人员减少了因环境影响导致的测试不确定性。


Material properties can vary greatly in response to the local environmental properties. The NanoTest Vantage is the only instrument which allows researchers to characterise and optimise their materials under the following range of conditions:

材料特性会因当地环境特性而有很大差异。NanoTest Vantage 是唯一允许研究人员在以下条件下表征和优化其材料的仪器:

What comes next are records of crystals, not part of the article =
-- begin --
TmSi3Ru PBE-GGA optimized geometry; ΔE_f (raw) = -0.599 eV/atom; space group = No. 63
1.0
-2.461 -3.924 3.471
5.204 -0.852 -2.388
2.526 2.496 4.614
Ru Tm Si
2 2 6
Direct
0.883 0.117 0.750
0.117 0.883 0.250
0.761 0.239 0.250
0.239 0.761 0.750
0.735 0.735 0.500
0.656 0.345 0.750
0.344 0.655 0.250
0.265 0.265 0.500
0.735 0.735 0.000
0.265 0.265 0.000
-- stop --

(1)High temperature nanoindentation, nanoscratch and nanoimpact to 850 ºC.   850 ºC 的高温纳米压痕、纳米划痕和纳米冲击

(2)Low temperature nanoindentation and nanoscratch to -20 ºC.   -20 ºC 的低温纳米压痕和纳米划痕

(3)With sample and probe immersed in liquids.   将样品和探头浸入液体中

(4)In reduced oxygen/ purged conditions.   在低氧/吹扫条件下

(5)Under controlled humidity levels.    在受控湿度水平下


2.Controlled environment of low temperature/humidity 低温/湿度的受控环境


For still greater experimental versatility, the instrument can be configured with a low-temperature option (to -20°C). The system can also use a temperature controlled liquid cell to test samples fully immersed in a fluid with constant buoyancy force, and constant surface tension on loading column. A fully programmable humidity cell that allows rapid, stable humidity changes from 10% to 90% for studying moisture sensitivity in polymers, biomaterials, and nanocomposites. Furthermore,researchers can characterise and optimise their materials in reduced oxygen / purged conditions with the NanoTest Vantage.

为了实现更大的实验灵活性,该仪器可配置低温选项(可至-20°C)。该系统还可以使用温度控制的液体池来测试完全浸入流体中的样品,这种流体具有恒定的浮力以及加载柱上的恒定表面张力。此外,该系统还有一个可完全编程的湿度单元,能够实现湿度在10%至90%之间的快速、稳定变化,用于研究聚合物、生物材料和纳米复合材料对湿度的敏感性。此外,研究人员可以使用NanoTest Vantage在低氧/吹扫条件下对其材料进行表征和优化。


3.Hot Stage for Elevated-Temperature Nanomechanics to 850°C* 高温纳米力学的最高温度至850°C


Dual active heating of the indenter and the sample, a patented stage design, and a patented temperature control methodology ensure the optimum thermal stability needed for repeatable high-temperature measurements up to 850°C* when using the system’s high-temperature option.



With the addition of water cooling and an environmental chamber for testing in reduced oxygen atmosphere, reliable measurements can be performed.



(1)Active tip heating – the indenter and the sample are both actively and independently heated, resulting in an isothermal contact.主动针尖加热-压头和样品都是主动和独立的加热,确保两者等温接触。

(2)Patented tip heating power feedback system – fast response to minimise heat flow on contact.专利尖端加热功率反馈系统-快速响应,以减少接触时的热流

(3)Horizontal loading – the unique loading configuration of the NanoTest Vantage means that there is no heat flow onto the loading head or depth measurement sensor.水平加载-纳米测试优势的独特加载配置意味着没有热流到加载头或深度测量传感器。

(4)Highly localised heating – a heat shield and insulating shroud around the heated zone ensure instrument stability during high-temperature experiments.高度局部加热-在加热区域周围的隔热罩和隔热罩,确保了高温实验中仪器的稳定性。

(5)Patented control protocol – software routines are used to precisely match the indenter and stage temperatures to within an accuracy of 0.1ºC.专利控制协议-软件例程用于精确匹配压头和样品温度,以确保温度精度范围控制在0.1ºC内。

(6)Time-dependent measurements – As no significant thermal drift occurs during high-temperature measurements, it becomes possible to perform longduration tests (e.g., indentation creep tests) that are not possible with other systems.与时间相关的测量-由于在高温测量过程中没有发生明显的热漂移,因此有可能进行长时间的测试(e.g.,压痕蠕变测试)是其他系统不可能的。





application area 



The NanoTest Vantage is perfect for studying a wide range of materials systems for both fundamental research and industrial applications, including:


(1)金属 Metals

(2)硬涂层 Hard coatings

(3)陶瓷 Ceramics

(4)复合材料 Composite materials

(5)管理系统 MEMS

Inserted here: calculated crystals =
/*
# 1
PBEsol CsKCa3, relaxed; space group = No. 221; E = -0.882 eV/atom; formation enthalpy at 0 K = 813.3 meV/atom; excess energy over the best structure of this formula in the dataset = 188 meV per atom; density of states at the Fermi level = 1.5233 states/eV/atom
1.0
6.511 0.000 0.000
0.000 6.511 0.000
0.000 0.000 6.511
Cs K Ca
1 1 3
Cartesian
0.000 0.000 0.000 Cs
3.256 3.256 3.256 K
0.000 0.000 3.256 Ca
0.000 3.256 0.000 Ca
3.256 0.000 0.000 Ca

# 2
PBEsol LaIn2Sb, relaxed; space group = No. 99; E = -4.252 eV/atom; energy relative to the elements, uncorrected = -0.2845 eV per atom; excess energy over the best structure of this formula in the dataset = 341 meV per atom; density of states at the Fermi level = 0.6754 states/eV/atom
1.0
3.376 0.000 0.000
0.000 3.376 0.000
0.000 0.000 9.569
La In Sb
1 2 1
Cartesian
0.000 0.000 0.000 La
0.000 0.000 4.897 In
1.688 1.688 7.120 In
1.688 1.688 2.357 Sb

# 3
PBEsol Te2SF, relaxed; space group = No. 166; E = -3.686 eV/atom; energy relative to the elements, uncorrected = -0.3455 eV per atom; excess energy over the best structure of this formula in the dataset = 0 meV per atom; density of states at the Fermi level = 0.6400 states/eV/atom
1.0
1.693 0.977 8.537
-1.693 0.977 8.537
0.000 -1.955 8.537
Te S F
2 1 1
Cartesian
0.000 0.000 2.248 Te
0.000 0.000 23.363 Te
0.000 0.000 12.805 S
0.000 0.000 0.000 F

# 4
PBEsol KNa2Ag2, relaxed; space group = No. 139; E = -2.001 eV/atom; formation enthalpy at 0 K = 109.8 meV/atom; density of states at the Fermi level = 0.3907 states/eV/atom
1.0
-2.353 2.353 6.638
2.353 -2.353 6.638
2.353 2.353 -6.638
K Na Ag
1 2 2
Cartesian
0.000 0.000 0.000 K
2.353 0.000 3.319 Na
0.000 2.353 3.319 Na
0.000 0.000 5.295 Ag
0.000 0.000 7.981 Ag

# 5
PBEsol BeSb2TePb, relaxed; space group = No. 123; E = -2.841 eV/atom; energy relative to the elements, uncorrected = 1.2871 eV per atom; density of states at the Fermi level = 0.7389 states/eV/atom
1.0
5.623 0.000 0.000
0.000 5.623 0.000
0.000 0.000 5.874
Be Sb Te Pb
1 2 1 1
Cartesian
0.000 0.000 0.000 Be
0.000 2.812 2.937 Sb
2.812 0.000 2.937 Sb
2.812 2.812 2.937 Te
2.812 2.812 0.000 Pb

# 6
PBEsol Pt2OF, relaxed; space group = No. 225; E = -4.657 eV/atom; energy relative to the elements, uncorrected = 0.6186 eV per atom; density of states at the Fermi level = 1.3408 states/eV/atom
1.0
0.000 2.860 2.860
2.860 0.000 2.860
2.860 2.860 0.000
Pt O F
2 1 1
Cartesian
1.430 1.430 1.430 Pt
4.290 4.290 4.290 Pt
0.000 0.000 0.000 O
2.860 2.860 2.860 F

# 7
PBEsol SrZrPb2, relaxed; space group = No. 8; E = -4.890 eV/atom; formation enthalpy at 0 K = -158.5 meV/atom; density of states at the Fermi level = 0.6139 states/eV/atom
1.0
5.994 -1.692 0.000
5.994 1.692 0.000
-0.812 0.000 5.411
Sr Zr Pb
1 1 2
Cartesian
0.000 0.000 0.000 Sr
2.750 0.000 2.454 Zr
5.919 0.000 2.746 Pb
8.111 0.000 5.136 Pb

# 8
*/
So much for the calculated crystals =

(6)薄膜 Thin films

(7)聚合物 Polymers




